Is Disgust a Real Emotion?

# What comes next are materials data, not part of the text
┌──
1.
Crystalline Ho3Ge3Ir2 at its relaxed geometry, computed with PBE-GGA.

volume = 321.9 Å³ per cell
total energy = -105.5 eV for the cell shown
calculated formation energy = -929 meV per atom
space-group type = Cmcm (63)

abc: 5.6527 5.6527 14.2902
angles: 90.00 90.00 135.17
Element x y z (fractional)
1 Ho 0.0844 0.9156 0.6102
2 Ho 0.0844 0.9156 0.8898
3 Ho 0.3579 0.6421 0.7500
4 Ho 0.6421 0.3579 0.2500
5 Ho 0.9156 0.0844 0.1102
6 Ho 0.9156 0.0844 0.3898
7 Ge 0.3444 0.6556 0.2500
8 Ge 0.3769 0.6231 0.5351
9 Ge 0.3769 0.6231 0.9649
10 Ge 0.6231 0.3769 0.0351
11 Ge 0.6231 0.3769 0.4649
12 Ge 0.6556 0.3444 0.7500
13 Ir 0.2005 0.7995 0.1027
14 Ir 0.2005 0.7995 0.3973
15 Ir 0.7995 0.2005 0.6027
16 Ir 0.7995 0.2005 0.8973

***

2.
Crystalline Nd2Th3O9 at its relaxed geometry, computed with PBE-GGA.

volume = 224.1 Å³ per cell
total energy = -127.6 eV for the cell shown
total moment = 0.006 μB/cell
calculated formation energy = -4107 meV per atom
space-group type = I-4m2 (119)

abc: 14.4261 14.4261 14.4261
angles: 164.14 164.14 22.50
Element x y z (fractional)
1 Nd 0.1938 0.1938 0.0000
2 Nd 0.8062 0.8062 0.0000
3 Th 0.0000 0.0000 0.0000
4 Th 0.4004 0.4004 0.0000
5 Th 0.5996 0.5996 0.0000
6 O 0.0528 0.5528 0.5000
7 O 0.1550 0.6550 0.5000
8 O 0.3450 0.8450 0.5000
9 O 0.4472 0.9472 0.5000
10 O 0.5466 0.0466 0.5000
11 O 0.6440 0.1440 0.5000
12 O 0.7500 0.2500 0.5000
13 O 0.8560 0.3560 0.5000
14 O 0.9534 0.4534 0.5000

***

3.
Crystalline RbMg30BO32 at its relaxed geometry, computed with PBE-GGA.

volume = 641.1 Å³ per cell
total energy = -377.9 eV for the cell shown
total moment = 0.019 μB/cell
calculated formation energy = -2904 meV per atom
space-group type = P4/mmm (123)

abc: 8.7571 8.7571 8.3596
angles: 90.00 90.00 90.00
Element x y z (fractional)
1 Rb 0.0000 0.0000 0.0000
2 Mg 0.0000 0.2656 0.2558
3 Mg 0.0000 0.2656 0.7442
4 Mg 0.0000 0.5000 0.0000
5 Mg 0.0000 0.5000 0.5000
6 Mg 0.0000 0.7343 0.2558
7 Mg 0.0000 0.7343 0.7442
8 Mg 0.2477 0.2477 0.5000
9 Mg 0.2477 0.7523 0.5000
10 Mg 0.2517 0.5000 0.2507
11 Mg 0.2517 0.5000 0.7493
12 Mg 0.2534 0.2534 0.0000
13 Mg 0.2534 0.7466 0.0000
14 Mg 0.2656 0.0000 0.2558
15 Mg 0.2656 0.0000 0.7442
16 Mg 0.5000 0.0000 0.0000
17 Mg 0.5000 0.0000 0.5000
18 Mg 0.5000 0.2517 0.2507
19 Mg 0.5000 0.2517 0.7493
20 Mg 0.5000 0.5000 0.0000
21 Mg 0.5000 0.5000 0.5000
22 Mg 0.5000 0.7483 0.2507
23 Mg 0.5000 0.7483 0.7493
24 Mg 0.7343 0.0000 0.2558
25 Mg 0.7343 0.0000 0.7442
26 Mg 0.7466 0.2534 0.0000
27 Mg 0.7466 0.7466 0.0000
28 Mg 0.7483 0.5000 0.2507
29 Mg 0.7483 0.5000 0.7493
30 Mg 0.7523 0.2477 0.5000
31 Mg 0.7523 0.7523 0.5000
32 B 0.0000 0.0000 0.5000
33 O 0.0000 0.0000 0.3389
34 O 0.0000 0.0000 0.6611
35 O 0.0000 0.2674 0.5000
36 O 0.0000 0.2771 0.0000
37 O 0.0000 0.5000 0.2524
38 O 0.0000 0.5000 0.7476
39 O 0.0000 0.7229 0.0000
40 O 0.0000 0.7326 0.5000
41 O 0.2463 0.2463 0.2495
42 O 0.2463 0.2463 0.7505
43 O 0.2463 0.7537 0.2495
44 O 0.2463 0.7537 0.7505
45 O 0.2531 0.5000 0.5000
46 O 0.2559 0.5000 0.0000
└──
# End of the materials data

Learn how this unpleasant emotion impacts your mind and body and get tips to manage when you feel repulsed.

Published December 28, 2022
Woman looking disgusted showing clogged filter and full dust box of the robot vacuum cleaner
RuslanDashinsky/ E+ via Getty Images

Yuck! Gross! Ew! What do all of these phrases have in common? They're all expressions of disgust - an emotion that most of us find revolting. But while confronting something gross is never ideal, disgust is an emotion that can provide a range of benefits. Surprised? It's true - those icky experiences that make us want to turn up our noses can actually be good for us. There's a lot more to learn about this complex emotion and why it's actually helpful.

What Is Disgust?

Disgust describes the feeling that occurs when someone encounters something they find repugnant. A person might find something repulsive because of its smell or taste. But disgust can also be a response to behavior - such as actions that you find unethical or immoral. According to the American Psychological Association (APA), a person may develop an aversion to these disgusting situations, and try to avoid them at all costs.

Fast Fact

Disgust is considered to be one of the six basic human emotions, according to some psychological theories. Our understanding of disgust has evolved over time, but experts generally believe it serves a fundamental purpose, primarily as one of the body's protection mechanisms.

It's widely believed that disgust helps us avoid consuming foods and liquids that might make us sick. In addition, it can also help us steer clear of areas and people that might be unsafe. Disgust can also help us avoid poisons, diseases, bacteria, and more.

Common Causes of Disgust

Disgust can be triggered by sights, sounds, smells, tastes, and textures. In addition, we might also feel disgust as a reaction to certain behaviors from others, such as bullying or lying.

It's important to note that not everyone finds the same things disgusting. A person's individual preferences and background can influence their reactions. For example, in some countries, eating snails is considered a delicacy. However, if you didn't come from an area where this meal was common, it might not sound too appetizing and you might experience disgust instead.

Some experiences that might trigger disgust include:

  • Eating a certain food you know you don't enjoy
  • Eating or drinking spoiled food, such as milk or sour cream
  • Hearing nails on a chalkboard
  • Listening to someone engage in discrimination
  • Seeing a person vomit
  • Smelling the scent of rotten eggs wafting out of the fridge
  • Stepping in a puddle of water with socks on
  • Watching a TV show with gory scenes

How Disgust Affects the Brain and Body

Disgust is powerful. When you feel disgusted you might feel like you need to gag, vomit, or even swear off certain foods for the rest of your life. What exactly makes disgust such a strong emotion? This intense feeling has a strong impact on both your brain and body.

Research has suggested that disgust interacts with your brain chemistry, leading to changes in your behaviors and perceptions. It's this combination of chemical and behavioral changes that packs such a heavy punch.

Changes in the Brain

Disgust is triggered by the release of certain hormones in the brain. When these chemicals are dispersed, they send signals throughout the body and cause you to feel repulsed by whatever activated their release.

These hormones work quickly and help you make split-second decisions to evaluate whether you find something pleasant or unpleasant. Then, you instinctively react by either enjoying or avoiding whatever stimulus you encountered.

Research shows that some of the main chemicals involved in the disgust response include:

  • Estrogen - Plays a role in regulation and how the facial expressions of disgust are perceived.
  • Oxytocin - Regulates brain activity in specific regions that are linked to social cognition and behaviors, as well as attachment.
  • Progesterone - Modifies an individual's sensitivity to disgust

When all of these hormones, as well as a few others, come together, they can make your skin crawl. In addition, they can influence the way you recognize the facial expressions of disgust in others, and even affect how you learn about what you find disgusting.

Changes in the Body

Think about something you find gross. Do you notice any changes in your face or body? There are several well-known signs that a person may be experiencing disgust. Many of these are reflected by changes in their facial features.

For example, some common facial changes include:

  • The bottom lip raises and sticks out slightly
  • The eyebrows lower
  • The nose wrinkles
  • The upper lip raises and forms an upside-down "u" shape

In addition to these facial expressions, you might stiffen up your body or move away from whatever has triggered your disgust. None of these physical changes is necessarily comfortable - leading to one more reason that you may want to avoid repulsive circumstances.

How to Relieve Feelings of Disgust

One of the good things about disgust is that it's like any other human emotion - it comes and it goes. So, no matter how disgusted you are in the current moment, take comfort in knowing that it will pass.

Luckily, there are some things you can do when you're feeling grossed out to make the experience just a bit easier. You might not be able to prevent yourself from being disgusted every now and then, but there are some steps you can take to help speed up the recovery process.

Take Some Space

Next to the page, the page also holds materials data =
'''
# 1
# LaFe5H7 GGA-PBE optimized geometry
data_LaFe5H7
_chemical_formula_sum 'La4 Fe20 H28'
_cell_length_a 5.826
_cell_length_b 9.409
_cell_length_c 8.271
_cell_angle_alpha 90.00
_cell_angle_beta 90.00
_cell_angle_gamma 90.00
_space_group_name_H-M_alt 'C c c m'
_space_group_IT_number 66
_space_group_name_Hall '-C 2 2c'
loop_
_atom_site_label
_atom_site_type_symbol
_atom_site_fract_x
_atom_site_fract_y
_atom_site_fract_z
La1 La 0.000 0.000 0.000
Fe1 Fe 0.000 0.500 0.250
Fe2 Fe 0.009 0.347 0.000
Fe3 Fe 0.250 0.250 0.267
H1 H 0.000 0.156 0.250
H2 H 0.197 0.396 0.152
H3 H 0.250 0.250 0.500
# * crystal system: orthorhombic
# * corrected total energy (MP2020 scheme): -5.6517 eV per atom
# * formation energy: -187 meV per atom

# 2
# BaHgO2 GGA-PBE optimized geometry
data_BaHgO2
_chemical_formula_sum 'Ba3 Hg3 O6'
_cell_length_a 4.2024
_cell_length_b 4.2024
_cell_length_c 19.6525
_cell_angle_alpha 90.00
_cell_angle_beta 90.00
_cell_angle_gamma 120.00
_space_group_name_H-M_alt 'R -3 m'
_space_group_IT_number 166
_space_group_name_Hall '-R 3 2"'
loop_
_atom_site_label
_atom_site_type_symbol
_atom_site_fract_x
_atom_site_fract_y
_atom_site_fract_z
Ba1 Ba 0.0000 0.0000 0.0000
Hg1 Hg 0.0000 0.0000 0.5000
O1 O 0.0000 0.0000 0.3982
# * crystal system: trigonal
# * corrected total energy (MP2020 scheme): -4.9921 eV per atom
# * formation energy: -1962 meV per atom

# 3
# LuSBr GGA-PBE optimized geometry
data_LuSBr
_chemical_formula_sum 'Lu2 S2 Br2'
_cell_length_a 3.957
_cell_length_b 5.272
_cell_length_c 9.741
_cell_angle_alpha 90.00
_cell_angle_beta 90.00
_cell_angle_gamma 90.00
_space_group_name_H-M_alt 'P m m n'
_space_group_IT_number 59
loop_
_space_group_symop_operation_xyz
'x,y,z'
'-x,-y,-z'
'-x+1/2,-y+1/2,z'
'x+1/2,y+1/2,-z'
'x+1/2,-y,-z'
'-x+1/2,y,z'
'-x,y+1/2,-z'
'x,-y+1/2,z'
loop_
_atom_site_label
_atom_site_type_symbol
_atom_site_fract_x
_atom_site_fract_y
_atom_site_fract_z
Lu1 Lu 0.250 0.250 0.114
S1 S 0.250 0.750 0.072
Br1 Br 0.250 0.750 0.687
# * crystal system: orthorhombic
# * corrected total energy (MP2020 scheme): -5.7882 eV per atom
# * formation energy: -2357 meV per atom

# 4
# Pr2CN2O2 GGA-PBE optimized geometry
data_Pr2CN2O2
_chemical_formula_sum 'Pr2 C1 N2 O2'
_cell_length_a 3.9629
_cell_length_b 3.9629
_cell_length_c 8.4089
_cell_angle_alpha 90.00
_cell_angle_beta 90.00
_cell_angle_gamma 120.00
_space_group_name_H-M_alt 'P -3 m 1'
_space_group_IT_number 164
_space_group_name_Hall '-P 3 2"'
loop_
_atom_site_label
_atom_site_type_symbol
_atom_site_fract_x
_atom_site_fract_y
_atom_site_fract_z
Pr1 Pr 0.3333 0.6667 0.3188
C1 C 0.0000 0.0000 0.0000
N1 N 0.0000 0.0000 0.1472
O1 O 0.3333 0.6667 0.6037
# * crystal system: trigonal
# * corrected total energy (MP2020 scheme): -8.7266 eV per atom
# * formation energy: -2247 meV per atom

# 5
# Na14La4Nb4Si11SO48 GGA-PBE optimized geometry
data_Na14La4Nb4Si11SO48
_chemical_formula_sum 'Na42 La12 Nb12 Si33 S3 O144'
_cell_length_a 9.454
_cell_length_b 16.396
_cell_length_c 22.889
'''

If you're around something that you find disgusting, it might be beneficial to leave the area. When you create some distance, you give yourself the opportunity to recover from whatever unwanted experience you just had.

There are plenty of ways that taking some space can be beneficial when you experience something disgusting:

  • If you smell something nasty, you can take a clean, fresh breath.
  • If you eat something you didn't like, you can drink some water.
  • If you hear something unpleasant, you can move out of range.
  • If you touch something gross, you can wash your hands.
  • If you see something upsetting, you can remove yourself from the situation.

Space is good. Do what you need to get away from whatever grossed you out. It can help you recover and relax.

Experience Something You Enjoy

Another great way to reduce your feelings of disgust is to surround yourself with things that you actually like. This can help wash away the unpleasant experience and redirect your thoughts and sensations toward something you enjoy.

Consider these different ways to recover:

  • If you smell something that makes your stomach churn, sniff a fragrance you like.
  • If you ate something that didn't taste right, take a bite of food that you know is safe and yummy.
  • If you hear a sound that makes your toes curl, listen to some music that can lift you back up.
  • If you touch something that makes your skin crawl, wash your hands with soap you enjoy.
  • If you see something gross, shift your attention to a better area around you or look at old photos.

As unpleasant as it may be, encountering something disgusting can be a learning opportunity. When you find something gross, you can make a mental note to try and avoid it in the future. In addition, disgust can help you define your boundaries around what you like and dislike. Every time you encounter something disgusting, you can think, "I'm learning just a little bit more about myself," and that might make the experience a tad more enjoyable.

Is Disgust a Real Emotion?